One of the more recently active projects I’ve been doing is getting acclimated to game maker and building a game for my game prototyping class. The class itself has students produce games in game maker on a rather rigorous schedule. A secondary goal I've had through my education is exploring procedurally generated content in games. While I don't always get to do this and it doesn’t work for all projects, I was able to explore this while ramping up and preparing a game project for the class.
The game itself is currently untitled but it is supposed to be a 2d platformer. However as things have progressed I’ve found that that it seems to be much more in the style of a metroidVania style game. The major feature of the game is the procedurally developed levels that provide a semi-consistent “city and sewer” style levels. Through changing other variables I can also have more naturalistic caves or possibly even other types of levels. Since they are randomly generated the player doesn't know exactly what the level contains or the exact layout. However, the levels all have the same style so the player does get a sort of ‘feel’ for what kinds of terrain they can expect through a level. This keeps things consistent yet also fresh.
OK enough beating around the bush; I’m now going to tell you (generally) how the algorithm works. I can’t post code since this is a student project and I will not own the rights to the code that implements this algorithm (school contract thing). However I can tell you what I’m doing. Ok, lets move to step one
-- Unrelated to this text: materials data --
Structure and computed X-ray diffraction stick pattern of Ga2PdAu8 (a structure optimized by DFT (GGA-PBE); Cu Kα).
Kinematic intensities with the Lorentz-polarization factor, no thermal factor.

Structure:
```
data_Ga2PdAu8
_chemical_formula_sum 'Ga2 Pd1 Au8'
_cell_length_a 4.128
_cell_length_b 6.581
_cell_length_c 7.780
_cell_angle_alpha 71.97
_cell_angle_beta 75.13
_cell_angle_gamma 89.69
_symmetry_space_group_name_H-M 'P 1'
_symmetry_Int_Tables_number 1
_symmetry_space_group_name_Hall 'P 1'
loop_
_atom_site_label
_atom_site_type_symbol
_atom_site_fract_x
_atom_site_fract_y
_atom_site_fract_z
Ga1 Ga 0.214 0.160 0.074
Ga2 Ga 0.786 0.840 0.926
Pd1 Pd 0.500 0.500 0.500
Au1 Au 0.042 0.241 0.418
Au2 Au 0.149 0.720 0.199
Au3 Au 0.323 0.573 0.854
Au4 Au 0.406 0.038 0.689
Au5 Au 0.594 0.962 0.311
Au6 Au 0.677 0.427 0.146
Au7 Au 0.851 0.280 0.801
Au8 Au 0.958 0.759 0.582
```

Most intense lines, 2θ from 10° to 90°, low angle first:
| d (Å) | Position (°2θ) | Rel. int. | hkl |
| --- | --- | --- | --- |
| 2.423 | 37.1 | 100.0 | -1 1 2 |
| 2.405 | 37.4 | 97.7 | 1 1 3 |
| 2.363 | 38.1 | 92.4 | 1 2 0 |
| 2.341 | 38.5 | 88.1 | 1 -2 1 |
| 2.113 | 42.8 | 61.1 | 0 3 2 |
| 2.064 | 43.9 | 66.9 | 2 0 1 |

~~~~~

Structure and simulated powder diffraction line list of Li2VP2O7 (a GGA+U-relaxed structure; Cu Kα X-rays).
Kinematic intensities with the Lorentz-polarization factor, no thermal factor.

Top 10 peaks for 2θ = 10–90°, in order of rising 2θ:
| 2θ/deg | d/Å | intensity |
| --- | --- | --- |
| 16.77 | 5.286 | 100 |
| 21.50 | 4.133 | 46 |
| 24.73 | 3.601 | 18 |
| 26.06 | 3.419 | 21 |
| 27.97 | 3.190 | 14 |
| 28.18 | 3.167 | 87 |
| 28.81 | 3.099 | 33 |
| 37.32 | 2.409 | 14 |
| 38.82 | 2.320 | 18 |
| 41.83 | 2.160 | 13 |

```
Li2VP2O7
1.0
5.102 0.000 0.000
0.000 8.517 0.000
-2.365 0.000 6.743
Li V P O
4 2 4 14
direct
0.176 0.000 0.151
0.274 0.315 0.596
0.726 0.815 0.404
0.824 0.500 0.849
0.208 0.648 0.222
0.792 0.148 0.778
0.209 0.942 0.586
0.389 0.333 0.021
0.611 0.833 0.979
0.791 0.442 0.414
0.068 0.466 0.378
0.149 0.850 0.391
0.208 0.187 0.996
0.224 0.485 0.003
0.371 0.093 0.586
0.398 0.822 0.753
0.440 0.835 0.122
0.560 0.335 0.878
0.602 0.322 0.247
0.629 0.593 0.414
0.776 0.985 0.997
0.792 0.687 0.004
0.851 0.350 0.609
0.932 0.966 0.622
```

***

Structure and simulated powder diffraction line list of Li3NiPCO7 (a GGA+U-relaxed structure; Cu Kα X-rays).
Kinematic intensities with the Lorentz-polarization factor, no thermal factor.

Top 10 peaks for 2θ = 10–90°, in order of rising 2θ:
| 2θ/deg | d/Å | intensity |
| --- | --- | --- |
| 10.46 | 8.457 | 34 |
| 17.29 | 5.129 | 100 |
| 23.58 | 3.773 | 41 |
| 24.73 | 3.601 | 23 |
| 25.33 | 3.516 | 23 |
| 26.08 | 3.417 | 34 |
| 33.82 | 2.651 | 24 |
| 35.42 | 2.534 | 92 |
| 37.04 | 2.427 | 23 |
| 53.64 | 1.709 | 22 |

```
Li3NiPCO7
1.0
9.412 0.000 0.000
0.000 6.329 0.000
-4.276 0.000 8.756
Li Ni P C O
12 4 4 4 28
direct
0.100 0.250 0.183
0.100 0.250 0.683
0.278 0.009 0.009
0.278 0.491 0.509
0.348 0.748 0.314
step one: basic info
I use a 2 dimensional array to contain where all the tiles will go and what the tiles are going to be(fairly standard stuff). This array is the back bone and how the computer reads through the level data. Most things are basically just different types of array parsing and changing values to get the level to look the way I want.
Step two: build tiles
The random function is by far the most powerful function ever invented ever. What I do to build a cityscape type level is define random horizontal chunks of tiles (normaly 3-5 tiles; where the player object is one tile in size) then I randomly set a height to the chunks and initialize them into the array.
Step three: cutting away
after I’ve done a basic initialization of the array I do some cutting away of blocks. There are roughly three substeps to this, swiss cheese, holes and smoothing.
Someone pasted crystal structures at this point
-- begin --
ScCo3C: simulated XRD peak list (Cu Kα (weighted mean of Kα1 and Kα2)), based on a structure optimized by DFT (PBE).
No peak broadening, texture or thermal motion is included.

Principal peaks in the range 10 to 80 degrees two-theta, in order of rising 2θ:
| 2θ/deg | intensity |
| --- | --- |
| 23.34 | 6 |
| 41.01 | 100 |
| 47.72 | 55 |
| 53.78 | 2 |
| 69.79 | 32 |
| 74.71 | 1 |

Cell and atoms:
Lattice parameters (Å, degrees): 3.812 3.812 3.812 90.00 90.00 90.00
Positions (direct):
1 Sc 0.000 0.000 0.000
2 Co 0.000 0.500 0.500
3 Co 0.500 0.000 0.500
4 Co 0.500 0.500 0.000
5 C 0.500 0.500 0.500

Ta3Co3C: simulated XRD peak list (Cu Kα (weighted mean of Kα1 and Kα2)), based on a structure optimized by DFT (PBE).
No peak broadening, texture or thermal motion is included.

Principal peaks in the range 10 to 80 degrees two-theta, in order of rising 2θ:
| 2θ/deg | intensity |
| --- | --- |
| 13.56 | 7 |
| 22.24 | 8 |
| 31.65 | 30 |
| 34.58 | 29 |
| 39.02 | 55 |
| 41.50 | 100 |
| 45.37 | 38 |
| 58.27 | 16 |
| 63.16 | 13 |
| 67.84 | 16 |
| 70.69 | 47 |
| 72.37 | 11 |

Cell and atoms:
Lattice parameters (Å, degrees): 7.996 7.996 7.996 60.00 60.00 60.00
Positions (direct):
1 Ta 0.073 0.073 0.677
2 Ta 0.073 0.677 0.073
3 Ta 0.073 0.677 0.677
4 Ta 0.323 0.323 0.927
5 Ta 0.323 0.927 0.323
6 Ta 0.323 0.927 0.927
7 Ta 0.677 0.073 0.073
8 Ta 0.677 0.073 0.677
9 Ta 0.677 0.677 0.073
10 Ta 0.927 0.323 0.323
11 Ta 0.927 0.323 0.927
12 Ta 0.927 0.927 0.323
13 Co 0.000 0.500 0.500
14 Co 0.296 0.296 0.296
15 Co 0.296 0.296 0.611
16 Co 0.296 0.611 0.296
17 Co 0.389 0.704 0.704
18 Co 0.500 0.000 0.500
19 Co 0.500 0.500 0.000
20 Co 0.500 0.500 0.500
21 Co 0.611 0.296 0.296
22 Co 0.704 0.389 0.704
23 Co 0.704 0.704 0.389
24 Co 0.704 0.704 0.704
25 C 0.000 0.000 0.000
26 C 0.000 0.000 0.500
27 C 0.000 0.500 0.000
28 C 0.500 0.000 0.000

----------

Simulated PXRD pattern of Li2Mn3F8 for copper Kα, from a DFT-relaxed cell (PBE+U, Alexandria).

Top 6 peaks for 2θ = 10–90°, in order of falling intensity:
18.78 deg, rel. 100, (0 2 0); 58.92 deg, rel. 54, (3 1 2); 43.12 deg, rel. 45, (1 3 2); 33.24 deg, rel. 34, (1 1 2); 37.21 deg, rel. 31, (1 2 2); 28.46 deg, rel. 20, (1 2 1)

Cell lengths 5.4454, 9.4518, 6.5667 Å; angles 90.00, 90.00, 90.00 degrees
Space group Pnnm (No. 58)
Asymmetric unit:
Li 0.0176 0.1807 0.0000 x4
Mn 0.0000 0.0000 0.5000 x2
Mn 0.0000 0.5000 0.2648 x4
F 0.1485 0.3811 0.0000 x4
F 0.1686 0.1153 0.2574 x8
F 0.1794 0.3874 0.5000 x4
-- stop --
Swiss cheese is where pockets are cut at random into the array (these pockets are 3x3). They don’t always cut into the areas where there are blocks but it's just to add some additional randomness to the level
Holes are cut by parsing through the array to find areas where there is a large discrepancy between the heights of groups of tiles. Ok so that doesn’t make much sense but basically it's an algorithm that bores horizontal “holes” through the level. It generally starts at some empty space and ends when it hits some other empty space.
This part of my code I think is the most inelegant portion I wrote. But it does what I need it to do when I combine it with ...
Smoothing is part where I search for wayward tiles that are just ‘hanging out’. It's kinda weird to have a ton of random blocks floating in space. While you can't prevent all of them, parsing for blocks that doesn’t have other blocks near them Greatly reduces the number of occurrences. You can do more smoothing if you like as well, however each iteration does reduce the number of blocks and if you over do it it will make your level sparse. I don't do more than a couple iterations with some different tweaks.
_What comes next are crystal structures, not part of the text_
<<<
Diffraction record for Li9Mn7O16. The powder diffractogram is calculated, not measured: it uses a DFT-relaxed cell (GGA+U, the Materials Project) and Cu Kα.

Structural model:
```
data_Li9Mn7O16
_cell_length_a 5.095
_cell_length_b 7.693
_cell_length_c 8.133
_cell_angle_alpha 79.98
_cell_angle_beta 86.06
_cell_angle_gamma 72.64
_space_group_name_H-M_alt 'P 1'
_space_group_IT_number 1
loop_
_space_group_symop_operation_xyz
'x,y,z'
loop_
_atom_site_label
_atom_site_fract_x
_atom_site_fract_y
_atom_site_fract_z
Li1 0.000 0.000 0.000
Li2 0.485 0.939 0.182
Li3 0.490 0.693 0.939
Li4 0.493 0.438 0.700
Li5 0.499 0.813 0.567
Li6 0.501 0.187 0.433
Li7 0.507 0.562 0.300
Li8 0.510 0.307 0.061
Li9 0.515 0.061 0.818
Mn1 0.000 0.500 0.500
Mn2 0.001 0.877 0.368
Mn3 0.004 0.248 0.245
Mn4 0.006 0.628 0.123
Mn5 0.994 0.372 0.877
Mn6 0.996 0.752 0.755
Mn7 0.999 0.123 0.632
O1 0.208 0.668 0.545
O2 0.216 0.176 0.046
O3 0.230 0.406 0.273
O4 0.230 0.536 0.890
O5 0.231 0.034 0.390
O6 0.231 0.906 0.769
O7 0.234 0.283 0.642
O8 0.241 0.770 0.158
O9 0.759 0.230 0.842
O10 0.766 0.717 0.358
O11 0.769 0.094 0.231
O12 0.769 0.966 0.610
O13 0.770 0.464 0.110
O14 0.770 0.594 0.727
O15 0.784 0.824 0.954
O16 0.792 0.332 0.455
```

Main lines, in order of falling intensity (2θ = 15–90°):
(hkl), d (Å), Rel. int.
1 0 0, 4.862, 100
-1 1 3, 2.212, 35
1 -2 2, 2.066, 28
2 3 1, 2.048, 27
0 1 3, 2.647, 18
1 3 1, 2.484, 12

---

Diffraction record for AlWO3. The powder diffractogram is calculated, not measured: it uses a DFT-relaxed cell (GGA+U, the Materials Project) and Cu Kα.

Structural model:
```
data_AlWO3
_cell_length_a 5.604
_cell_length_b 5.604
_cell_length_c 11.994
_cell_angle_alpha 90.00
_cell_angle_beta 90.00
_cell_angle_gamma 120.00
_space_group_name_H-M_alt 'P 1'
_space_group_IT_number 1
loop_
_space_group_symop_operation_xyz
'x,y,z'
loop_
_atom_site_label
_atom_site_fract_x
_atom_site_fract_y
_atom_site_fract_z
Al1 0.000 0.000 0.000
Al2 0.000 0.000 0.500
Al3 0.333 0.667 0.030
Al4 0.333 0.667 0.530
Al5 0.667 0.333 0.030
Al6 0.667 0.333 0.530
W1 0.000 0.294 0.267
W2 0.000 0.706 0.767
W3 0.294 0.000 0.267
W4 0.294 0.294 0.767
W5 0.706 0.000 0.767
W6 0.706 0.706 0.267
O1 0.000 0.000 0.157
O2 0.000 0.000 0.657
O3 0.000 0.306 0.448
O4 0.000 0.433 0.106
O5 0.000 0.567 0.606
O6 0.000 0.694 0.948
O7 0.306 0.000 0.448
O8 0.306 0.306 0.948
O9 0.333 0.667 0.301
O10 0.333 0.667 0.801
O11 0.433 0.000 0.106
O12 0.433 0.433 0.606
O13 0.567 0.000 0.606
O14 0.567 0.567 0.106
O15 0.667 0.333 0.301
O16 0.667 0.333 0.801
O17 0.694 0.000 0.948
O18 0.694 0.694 0.448
```

Main lines, in order of falling intensity (2θ = 15–90°):
(hkl), d (Å), Rel. int.
1 1 1, 2.728, 100
1 1 3, 2.295, 39
0 0 4, 2.998, 33
1 1 5, 1.822, 32
1 1 2, 2.539, 27
3 0 0, 1.618, 17

---

Diffraction record for Na3CoO3. The powder diffractogram is calculated, not measured: it uses a DFT-relaxed cell (GGA+U, the Materials Project) and Cu Kα.

Structural model:
```
data_Na3CoO3
_cell_length_a 6.896
_cell_length_b 9.630
>>>
Step four: extra stuff
This is now where I add in the layer of breakable blocks (It's like smoothing except that it changes any array element that is ‘adjacent’ to empty space to a number denoting that it should be built as a breakable block). If I had a enemy AI up and running I would toss spawn points in here (basically just random checks to see if a space is available and keep looking if it is not). At the end I cap off the sides and bottom of the level so Players don't fall off into space never to be scene again.
What I have learned so far is that Game Maker can require some Zen like patience and requires you to work in harmony with the program. It is not easy to get along with it if you are used to defining everything for yourself but if you are in harmony you can be very effective. In reality your first 40 hours with a new computer program is always going to be painful because you are learning how it likes to do things. I’ve also learned it's a good idea to let the player have some control over the random environment, which is why I have breakable blocks. This lets players have enough control to get to most places in a level without any problems.
Going on from here I really will need to add enemies; and some over-world mechanics (and then do a final art pass). The initial concept of this game is that the player would be a space ranger tasked with rescuing Colonists from worlds being invaded by aliens. The players space ship would have limited space and couldn’t take all of the people off the planets. While the player would have the option of only rescuing scientists; this would be balanced with the scientists not working as effectively unless they had additional crew members that the scientists would value.
While this will be implemented as a much more simple ‘collection and matching’ mechanic, It will hopefully create more of an emotional response in the player. As the game itself will be planned to be endless and force players to make morally questionable decisions, asking what kind of scientists and people they want to save from certain death at the hands of an alien menace.